Department Overview
Endodontics is the specific study of the dental pulp and tissues surrounding the root of a tooth. Endodontic treatment is needed when the pulp becomes inflamed or infected. An endodontist is a specialized dentist that carefully cleans the canal space and seals it. The endodontic residents treat patients, conduct research and teach undergraduate students.
Academic Program
The UConn School of Dental Medicine has been conducting a degree-granting program and a certificate program in endodontics since 1971. A three-year, full‑time clinical program commences in the beginning of July each year and leads to a Certificate of Advanced Education in Endodontics and eligibility for the certification process by the American Board of Endodontics. Students may enroll in an optional concurrent program leading to a Master of Dental Science degree (three years), or an interdepartmental program leading to a Certificate of Advanced Education in Endodontics and a Doctor of Philosophy degree in Biomedical Sciences (five years plus).
The three-year clinical program is designed to prepare the student for the practice of endodontics. The optional concurrent Master of Dental Science Degree program is an interdepartmental program that offers an opportunity for study and research in dental science, basic life sciences, and the allied health fields.
The intent of the combined Certificate of Advanced Education in Endodontics /Ph.D. degree program is to prepare the student for a career in education and research. The program is designed to develop outstanding clinicians/scientists in basic biomedical, behavioral and clinical oral health research
Program Components
The Endodontic Graduate Program has the following components:
- Patient care
- Interdepartmental didactics
- Intradepartmental didactics
- Teaching
- Research
Program Goals
The Endodontic Graduate Program adheres to the American Dental Association Commission of Accreditation Standards for Advanced Specialty Education Programs in Endodontics to provide graduates qualifications to meet the eligibility requirements of the American Board of Endodontics certification examination. In the education of endodontic residents, biological foundations of endodontic practice will be emphasized, and in patient care, the pursuit of excellence will be the ultimate aim. Endodontic residents will gain experience in the generation of knowledge by their required research projects. They will gain experience in transferring knowledge by instruction and evaluation of dental students. Acceptance of qualified candidates for careers in academic endodontics and research will be fostered. Service through teaching, provision of help for dental students, and students of other specialty programs are emphasized.
The overall goal of the program is to provide a learning environment to give the student opportunities to develop as a specialist.
Interdepartmental Didactics
The following interdepartmental didactic courses are offered:
- Sedation
- Functional Oral Anatomy
- Advanced Oral Histology
- Clinical Oral Pathology
- Graduate General & Oral Pathology
- Principles of Oral Microbiology and Infections
- Epidemiology
- Biostatistics
- Scientific Writing
- Research Methods in Epidemiology
- Biomaterials
- Evidence Based Dentistry
- Orofacial Pain
All endodontic residents must complete all of the above courses with a grade of S (satisfactory). A number of these courses may be taken for credit as part of the requirements for combined programs. The Graduate School requirement for the Master’s degree, however, is a minimum of 15 credits at no less than a 3.0 (B) average (Refer to Requirements and Procedures of the Master of Dental Science Degree).
Intra-departmental didactics consist of the following:
- Basic Graduate Endodontics
- Advanced Clinical Endodontics
- Graduate Literature Review Seminars
- Current Literature Review Seminars
- Case Presentations/Treatment Plan Case Conferences
- Endodontic Topics
Patient Care
Patient care includes all aspects of endodontic diagnosis, therapy, and prognosis. Treatment is performed in conjunction with other dental specialties and referring general dentists. Upon completion of the program, endodontic residents must be proficient in:
- endodontic treatment of anterior, premolar, and molar teeth
- differential diagnosis of odontogenic pain
Next to the entry, the page also holds records of crystals:
[1]
{"formula": "LaCrSi", "functional": "PBE", "state": "optimized geometry", "spacegroup": "F-43m, No. 216", "n_ef_per_ev_atom": 0.83, "magmom_total_mub_per_atom": 1.596, "raw_formation_energy_ev_per_atom": 0.09, "lattice": [[0.000, 3.310, 3.310], [3.310, 0.000, 3.310], [3.310, 3.310, 0.000]], "species": ["La", "Cr", "Si"], "fractional_positions": [[0.000, 0.000, 0.000], [0.750, 0.750, 0.750], [0.500, 0.500, 0.500]]}

***

[2]
{"formula": "La2PrSm7", "functional": "PBE", "state": "optimized geometry", "spacegroup": "Cmmm, No. 65", "n_ef_per_ev_atom": 1.76, "magmom_total_mub_per_atom": 0.000, "relative_energy_ev_per_fu": 1.32, "lattice": [[3.387, -14.789, 0.000], [3.387, 14.789, 0.000], [0.000, 0.000, 3.510]], "species": ["La", "La", "Pr", "Sm", "Sm", "Sm", "Sm", "Sm", "Sm", "Sm"], "fractional_positions": [[0.204, 0.796, 0.000], [0.796, 0.204, 0.000], [0.500, 0.500, 0.500], [0.000, 0.000, 0.000], [0.154, 0.352, 0.000], [0.313, 0.687, 0.500], [0.352, 0.154, 0.000], [0.648, 0.846, 0.000], [0.687, 0.313, 0.500], [0.846, 0.648, 0.000]]}

***

[3]
{"formula": "CuAgN2F", "functional": "PBE", "state": "optimized geometry", "spacegroup": "P4/mmm, No. 123", "n_ef_per_ev_atom": 0.67, "magmom_total_mub_per_atom": 0.419, "raw_formation_energy_ev_per_atom": 0.99, "relative_energy_ev_per_fu": 0.00, "lattice": [[3.685, 0.000, 0.000], [0.000, 3.685, 0.000], [0.000, 0.000, 4.569]], "species": ["Cu", "Ag", "N", "N", "F"], "fractional_positions": [[0.000, 0.000, 0.000], [0.500, 0.500, 0.500], [0.000, 0.500, 0.000], [0.500, 0.000, 0.000], [0.000, 0.000, 0.500]]}

***

[4]
{"formula": "CaAcBr", "functional": "PBE", "state": "optimized geometry", "spacegroup": "P3m1, No. 156", "n_ef_per_ev_atom": 0.62, "magmom_total_mub_per_atom": 0.017, "raw_formation_energy_ev_per_atom": -0.85, "lattice": [[3.986, 0.000, 0.000], [-1.993, 3.452, 0.000], [0.000, 0.000, 7.981]], "species": ["Ca", "Ac", "Br"], "fractional_positions": [[0.000, 0.000, 0.000], [0.333, 0.667, 0.600], [0.667, 0.333, 0.274]]}

***

[5]
{"formula": "SrZr2Zn", "functional": "PBE", "state": "optimized geometry", "energy_ev_per_atom": -4.302, "spacegroup": "I-42d, No. 122", "n_ef_per_ev_atom": 1.15, "magmom_total_mub_per_atom": 0.000, "lattice": [[-2.510, 2.510, 10.365], [2.510, -2.510, 10.365], [2.510, 2.510, -10.365]], "species": ["Sr", "Sr", "Zr", "Zr", "Zr", "Zr", "Zn", "Zn"], "fractional_positions": [[0.000, 0.000, 0.000], [0.750, 0.250, 0.500], [0.338, 0.625, 0.213], [0.375, 0.588, 0.713], [0.412, 0.125, 0.787], [0.875, 0.662, 0.287], [0.250, 0.750, 0.500], [0.500, 0.500, 0.000]]}

***

[6]
- diagnosis and management of endodontic emergencies including pain and/or swelling
- complex isolation including gingivectomy procedures
- endodontic re-treatments. treatment through existing restorations
- surgical procedures including incision and drainage, diagnostic flap, root-end resection, root-end filling, root resection, obtaining biopsy specimen, and perforation repair
- management of patients with immature apex, pediatric patients, endodontic-periodontic, and endodontic-orthodontic patients
- management of traumatized patients, physically and mentally handicapped, and other systemically compromised patients
- bleaching, intentional replantation, auto-transplantation, splinting procedure, intra-radicular restorations.
The endodontic residents gain experience and become familiar with crown lengthening procedures and performing endodontic procedures in the operating room. The residents are expected to manage all patients referred to them for treatment and record their clinical activities (including diagnosis, treatment, prognosis, and follow-up) in the endodontic electronic patient record. Each resident must also develop a case portfolio of all of their cases in hard copies. Five of each resident's cases need to be prepared according to the American Board of Endodontics format and submitted to the program director before graduation. Endodontic faculty members are available for clinical supervision and consultation at all times and all completed cases are reviewed individually by at least one endodontic faculty member during scheduled Case Review.
All endodontic residents are required to engage in research. Their research activity is determined by their career goals and their personal aspirations as well as the endodontic program they enroll in.
The research requirements of those who are in the Endodontic Certificate/Master of Dental Science Program are determined by a committee that is comprised of a major advisor and associate advisors who include the Endodontic Program Director. It is the responsibility of the endodontic resident in the combined Certificate/Master of Dental Science Program to read the Master of Dental Science Program Manual and comply fully with its contents and guidelines. Endodontic residents’ research requirements include: successful completion of the research project; submission of an abstract for presentation in a state, national, or international professional meeting (e.g., meetings of the American Association of Endodontists or the American Association for Dental Research) before September of the final year; and preparation of a manuscript ready for submission to a peer reviewed journal.
Those enrolled in master’s combined programs are encouraged to submit a grant proposal and must successfully defend their thesis in a formal meeting. A selected number of abstracts will be submitted for presentation and support will be provided for presentation of accepted abstracts. Formal meetings for evaluation of the student's research progress are periodically scheduled that include the student and the advisors and the proceedings of these meetings are maintained in the student's personnel record.
The research requirements of those who are in the Endodontic Certificate Program are determined by the student's career goals and their personal aspirations. They are required, however, to initiate or take part in a departmental research project under supervision of a faculty member and present their materials, methods, and conclusions in a manuscript that is suitable for publication. Submission of grant proposals, presentation of research results in professional meetings, publication of abstracts/articles are encouraged and supported.
As a part of the requirements mandated by the American Dental Association, all endodontic residents are expected to gain experience in clinical and didactic instruction and be familiar with teaching methodology. Thus, they give formal presentations to the faculty and fellow students and participate in preclinical and clinical teaching of endodontics to the predoctoral dental students.
Endodontic resident teaching is scheduled in the second and/or third year in the three-year program. Teaching should comprise ten percent of the resident's time (about four hours per week) after the first year of training.
Endodontic residents are required to prepare themselves for teaching by reviewing the predoctoral syllabi and familiarize themselves with current predoctoral student clinical requirements and their clinic chart, electronic record, and clinical evaluation procedures. Teaching consists of scheduled assignments in predoctoral laboratory courses and predoctoral endodontic clinic. The teaching starts in the beginning of the second academic year of the program (after participation in the teaching methodology seminar and faculty evaluation calibration exercise) and continues in the third year.
Endodontic residents take part in student clinical evaluation and are authorized to evaluate and grade predoctoral students. They, however, do not evaluate student test cases (only endodontic faculty members are authorized to evaluate predoctoral test cases). Endodontic residents are always scheduled with a faculty member in each teaching session and the faculty member monitors their teaching.
Endodontic residents are not assigned to teach other endodontic residents, however informal clinical consultations between endodontic residents are allowed. The program director evaluates endodontic resident teaching based on their competency in teaching methodology and observation of their teaching performance in the pre-clinic and clinic.
# Records of crystals that have nothing to do with the entry
~~~
# 1
VASP calculation (PBE-GGA) on a geometry-optimized LaOs2Ru structure.

Cell lengths 5.4294, 9.8994, 2.8689 Å; angles 90.00, 114.77, 90.00 degrees
Closest atoms and distances in Å follow each position.
Positions (direct):
La: 0.0000 0.0000 0.0000  4 Ru 2.71-3.01, 2 La 2.87, 4 Os 2.90
La: 0.5000 0.5000 0.0000  4 Ru 2.71-3.01, 2 La 2.87, 4 Os 2.90
Os: 0.2500 0.2500 0.5000  6 Os 2.71-3.01, 2 La 2.90, 2 Ru 2.90
Os: 0.2500 0.7500 0.5000  6 Os 2.71-3.01, 2 La 2.90, 2 Ru 2.90
Os: 0.7500 0.2500 0.5000  6 Os 2.71-3.01, 2 La 2.90, 2 Ru 2.90
Os: 0.7500 0.7500 0.5000  6 Os 2.71-3.01, 2 La 2.90, 2 Ru 2.90
Ru: 0.0000 0.5000 0.0000  4 La 2.71-3.01, 2 Ru 2.87, 4 Os 2.90
Ru: 0.5000 0.0000 0.0000  4 La 2.71-3.01, 2 Ru 2.87, 4 Os 2.90

Calculated values
Excess energy over the best structure of this formula in the dataset ... 318 meV per atom
E_tot ... -8.525 eV per atom
N(E_F) ... 10.8 states/eV per cell
Space group ... C2/m
ΔH_f (0 K) ... 0.641 eV per atom
Total magnetization ... 0.89 μB/f.u.

---

# 2
VASP calculation (PBE-GGA) on a geometry-optimized Ac8MgNi2 structure.

Cell lengths 8.7058, 8.7058, 6.0920 Å; angles 97.34, 97.34, 115.22 degrees
Closest atoms and distances in Å follow each position.
Positions (direct):
Ac: 0.0000 0.0000 0.0000  4 Ac 3.51-3.71, 2 Ni 3.55, 1 Mg 3.58
Ac: 0.0557 0.3158 0.6255  2 Ni 3.05-3.08
Ac: 0.1464 0.6426 0.2021  2 Ni 3.12
Ac: 0.3158 0.0557 0.6255  2 Ni 3.05-3.08
Ac: 0.4722 0.7328 0.7790  2 Ni 3.06-3.08
Ac: 0.6426 0.1464 0.2021  2 Ni 3.12
Ac: 0.7328 0.4722 0.7790  2 Ni 3.06-3.08
Ac: 0.7866 0.7866 0.4025  4 Ac 3.51-3.71, 2 Ni 3.56, 1 Mg 3.58
Mg: 0.3930 0.3930 0.2012  4 Ac 3.58-3.65
Ni: 0.1001 0.6872 0.7018  6 Ac 3.05-3.12
Ni: 0.6872 0.1001 0.7018  6 Ac 3.05-3.12

Calculated values
E_tot ... -4.181 eV per atom
N(E_F) ... 14.5 states/eV per cell
Space group ... Cm
ΔH_f (0 K) ... 0.003 eV per atom
Total magnetization ... 0.00 μB/f.u.

---

- Which of these has the lowest E_tot?
  LaOs2Ru

---

- Which of these has the highest ΔH_f (0 K)?
  LaOs2Ru

---

- What is the formula in the second record?
  Ac8MgNi2

---

- Number 1 is which compound?
  LaOs2Ru


# 1
This record from Alexandria describes HgCSeBr2 after structural relaxation. The functional is GGA-PBE.

## Properties
**Symmetry**: P4/mmm, No. 123
**D(E_F)**: 2.91 states/eV/cell
**Excess energy over the best structure of this formula in the dataset**: 0 meV/atom
**Crystal system**: tetragonal
**Total energy**: -2.2557 eV/atom
**Raw formation energy**: 1.0155 eV per atom

abc: 4.8874 4.8874 4.4724
angles: 90.00 90.00 90.00
Sites, in units of the cell vectors:
Hg: 0.0000 0.0000 0.0000
C: 0.5000 0.5000 0.5000
Se: 0.5000 0.5000 0.0000
Br: 0.0000 0.5000 0.5000
Br: 0.5000 0.0000 0.5000

---

# 2
This record from Alexandria describes HgCSeBr2 after structural relaxation. The functional is GGA-PBE.

## Properties
**Symmetry**: P4/mmm, No. 123
**D(E_F)**: 4.48 states/eV/cell
**Excess energy over the best structure of this formula in the dataset**: 660 meV/atom
~~~
# Here the entry continues
Admission Requirements
All applications will be processed through the Postdoctoral Application Support Service (PASS) of the American Association of Dental Schools.
Admission requirements include the following:
All of the items below must be submitted to ADEA PASS by July 1st to be considered for the following academic year.
- An application.
- Three professional evaluations.
- Complete CV and Personal Statement.
- ADAT, GRE, and CBSE scores are NOT required. National Dental Board examination scores are required unless you are a junior dental student who has not taken the board exam before the application deadline. Official NBDE or INBDE results must be submitted to ADEA PASS.
- Graduates from non-American Dental Association (ADA) accredited schools must request original transcript evaluations from ECE or WES to be sent directly to ADEA PASS.
- Students whose native language is not English must submit English proficiency scores on the Test of English as a Foreign Language (TOEFL). A minimum TOEFL iBT score of 100 is required.
- A digital 2" x 2" photograph (JPG, PNG, or BMP) must be sent via email to Erika Egan at
- $75 application fee payable to UConn School of Dental Medicine
Pay via PayPal through the following page:
Select Endodontics Residency for Application/Deposit fee, ID Type: PASS ID, ID# Your Pass ID #.
We also accept checks or money orders drawn from a U.S. bank in U.S. dollars. Please send to:
Department of Endodontics
UConn School of Dental Medicine
263 Farmington Avenue, MC 1715
Farmington, CT 06030
ATTN: Erika Egan
Once accepted into the residency program, a separate online application must be submitted to the University of Connecticut Graduate School to apply for the Master of Dental Science Program.
More information about the Ph.D. program can be found here.
*Obtaining a badge from UConn Health is mandatory and required in order to be enrolled. This process includes a full background check. Badges are subject to approval from UConn Police and the Risk Management Office.
Salaries, Stipends, Tuition and Fees
### Inserted here: calculated crystals
+++
First-principles (PBE) data for a geometry-optimized LaPuTl structure, as listed in the Open Quantum Materials Database.

Summary:
energy above the most stable polymorph in this dataset = 0 kJ/mol of formula units
space-group type = No. 216

a b c (Å): 5.353 5.353 5.353
angles (deg): 60.00 60.00 60.00
Element x y z (fractional)
1 La 0.000 0.000 0.000
2 Pu 0.500 0.500 0.500
3 Tl 0.250 0.250 0.250

First-principles (PBE) data for a geometry-optimized TlSi5Pd3 structure, as listed in the Open Quantum Materials Database.

Summary:
final energy = -4.997 eV per atom
space-group type = No. 191

a b c (Å): 5.540 5.540 6.043
angles (deg): 90.00 90.00 120.00
Element x y z (fractional)
1 Tl 0.000 0.000 0.000
2 Si 0.000 0.000 0.500
3 Si 0.333 0.667 0.191
4 Si 0.333 0.667 0.809
5 Si 0.667 0.333 0.191
6 Si 0.667 0.333 0.809
7 Pd 0.000 0.500 0.500
8 Pd 0.500 0.000 0.500
9 Pd 0.500 0.500 0.500

First-principles (PBE) data for a geometry-optimized InTcSn2 structure, as listed in the Open Quantum Materials Database.

Summary:
final energy = -4.702 eV per atom
space-group type = No. 216

a b c (Å): 4.966 4.966 4.966
angles (deg): 60.00 60.00 60.00
Element x y z (fractional)
1 In 0.000 0.000 0.000
2 Tc 0.750 0.750 0.750
3 Sn 0.250 0.250 0.250
4 Sn 0.500 0.500 0.500

First-principles (PBE) data for a geometry-optimized TbYCo2Si2C structure, as listed in the Open Quantum Materials Database.

Summary:
final energy = -7.168 eV per atom
space-group type = No. 8

a b c (Å): 5.623 5.623 6.797
angles (deg): 126.74 126.74 40.33
Element x y z (fractional)
1 Tb 0.000 0.000 0.000
2 Y 0.127 0.127 0.594
3 Co 0.365 0.365 0.209
4 Co 0.762 0.762 0.385
5 Si 0.407 0.407 0.593
6 Si 0.720 0.720 0.001
7 C 0.564 0.564 0.297

First-principles (PBE) data for a geometry-optimized HfZrAl structure, as listed in the Open Quantum Materials Database.

Summary:
energy above the most stable polymorph in this dataset = 0 kJ/mol of formula units
space-group type = No. 216

a b c (Å): 4.610 4.610 4.610
angles (deg): 60.00 60.00 60.00
Element x y z (fractional)
1 Hf 0.000 0.000 0.000
2 Zr 0.500 0.500 0.500
3 Al 0.250 0.250 0.250

First-principles (PBE) data for a geometry-optimized ErZrAsO structure, as listed in the Open Quantum Materials Database.

Summary:
energy above the most stable polymorph in this dataset = 0 kJ/mol of formula units
space-group type = No. 129

a b c (Å): 4.142 4.142 8.738
angles (deg): 90.00 90.00 90.00
Element x y z (fractional)
1 Er 0.250 0.250 0.111
2 Er 0.750 0.750 0.889
3 Zr 0.250 0.750 0.500
4 Zr 0.750 0.250 0.500
5 As 0.250 0.250 0.702
6 As 0.750 0.750 0.298
7 O 0.250 0.750 0.000
8 O 0.750 0.250 0.000

First-principles (PBE) data for a geometry-optimized CuAg7 structure, as listed in the Open Quantum Materials Database.

Summary:
formation energy = 0.035 eV/atom
energy above the most stable polymorph in this dataset = 9 kJ/mol of formula units
space-group type = No. 123

a b c (Å): 4.100 4.100 8.223
angles (deg): 90.00 90.00 90.00
Element x y z (fractional)
+++
Salaries and Stipends
Residents in the endodontic certificate program receive a salary or stipend.
- U.S. citizens, permanent residents, and Canadian citizens with a TN visa who are graduates of U.S. or Canadian dental schools:
- receive an annual salary currently in the amount of $24,000 for the first year and $25,000 for the second and third years of residency.
- are eligible for employment benefits through the Capital Area Health Consortium (CAHC). Click here for details on the CAHC website.
- Foreign nationals and/or graduates of non-U.S./Canadian dental schools:
- receive an annual stipend currently in the amount of $13,000 for each year of residency.
- are not eligible for employment benefits but are required to have and maintain health insurance coverage for the duration of the program. Click here for more information regarding health insurance requirements for foreign nationals.
- For the residency certificate program, the Advanced Dental Education Fee is $25,000 per year. This fee may be included in a Federal Financial Aid package for eligible residents who are also enrolled in the optional Master of Dental Science degree program.
- For the optional Master of Dental Science degree program, tuition is charged per credit hour. The program requires a minimum of 30 credits, of which 6 credits may be transferred at no cost from the residency certificate program, and a minimum of 24 additional graduate school tuition-based credits. Click here for additional information about tuition and fees for the Master of Dental Science.
For more information, see the Resident Salaries, Stipends, Fees and Tuition.
Fellowship Program
The Department of Endodontics offers a one-year Fellowship Program that is only available to graduates of the UConn Endodontic Certificate Program. Please submit the completed Fellowship Program application form to the address listed below.
Full-time faculty
Qiang Zhu, D.D.S., Ph.D.
Department Chair and Professor
Graduate Program Director, Advanced Education in Endodontics
I-Ping Chen, D.D.S., Ph.D.
Blythe M. Kaufman, D.D.S., M.D.S.
Aniuska Tobin, D.D.S., M.Sc.
Associate Professor
Program Director, Predoctoral Education in Endodontics
Part-time faculty
David Burkhard
Chris Carrington
Bruce Cha
Jin Jiang
Rekha Pawar
Lester Reid
John Russo
Michael Rutberg
Gita Safaian
Jacob Saidon
Thomas Turek
Contact Information
Erika Egan
Administrative Program Coordinator
Department of Endodontics
263 Farmington Avenue, MC 1715
Farmington, CT 06030
Phone: 860-679-2719
Fax: 860-679-2208
Qiang Zhu, D.D.S., Ph.D.
Program Director, Department of Endodontics
Professor and Chair
UConn School of Dental Medicine
263 Farmington Avenue, MC 1715
Farmington, CT 06030